say it ain't so - cover

Not bad at all dude... The singer's (yours??) voice sounds a lot like the original singer's... This could pass for a recording of wheezer doing an acoustic version of the song.... you know.. like those "in studio" acoustic mixes that local radio stations play sometimes... well... up until the lead part comes in... :D (coulda done without that keyboard :p )

Woulda liked to hear you try to hit the notes an octave higher too.. ;)

Good performance. Not bad for what sounds like a live recording. I agree with WATYF, that you sound like Mr. Weezer, and that why not sing in that upper octave like he does on the one part.

Also agree that if they stuck this on the radio, people would call up asking where they could get this Weezer acoustic track.

### Inserted here: quantum chemistry results
+++
Record 1
Formula: CH2NO3S
Source: OMol25
Level of theory: ωB97M-V/def2-TZVPD

Geometry as ORCA input:
```
! wB97M-V def2-TZVPD RIJCOSX def2/J DEFGRID3
* xyz -1 1
S 1.200 -1.340 -0.134
O -1.846 0.668 -0.026
O -2.364 -1.592 0.355
O 0.828 0.515 1.624
N 0.226 -0.752 1.024
C -1.868 -0.523 0.204
H 0.132 1.180 1.738
H 0.783 -0.827 -1.399
*
```

LUMO: 3.9 eV
relative energy (zero: lowest compared OMol25 entry of this formula, charge and spin): 2.695 eV
E: -19536.2070 eV
E_HOMO: -3.181 eV
Kohn-Sham gap: 7.06 eV

Quick look at the Löwdin charges, all values in e:
1. S 0.499
2. O 0.043
3. O 0.085
4. O -0.299
5. N -0.648
6. C -0.513
7. H 0.019
8. H -0.186

***

Record 2
Formula: CH2NO3S
Source: OMol25
Level of theory: ωB97M-V/def2-TZVPD

Geometry as ORCA input:
```
! wB97M-V def2-TZVPD RIJCOSX def2/J DEFGRID3
* xyz -1 1
S -3.240 -0.017 0.015
O -2.610 1.130 0.598
O -4.094 -0.854 0.850
O -3.553 0.247 -1.393
N -0.680 -1.313 -0.275
C 0.193 -0.470 -0.039
H 1.138 -0.622 0.614
H 0.121 0.560 -0.433
*
```

LUMO (alpha / beta): 3.4 / 4.0 eV
relative energy (zero: lowest compared OMol25 entry of this formula, charge and spin): 3.283 eV
E: -19535.6193 eV
E_HOMO (alpha / beta): -2.561 / -5.007 eV
Kohn-Sham gap (alpha / beta): 5.96 / 9.02 eV

Quick look at the Löwdin charges, all values in e:
1. S 0.462
2. O -0.419
3. O -0.408
4. O -0.427
5. N -0.001
6. C -0.305
7. H 0.057
8. H 0.043

***

Record 3
Formula: CH2NO3S
Source: OMol25
Level of theory: ωB97M-V/def2-TZVPD

Geometry as ORCA input:
```
! wB97M-V def2-TZVPD RIJCOSX def2/J DEFGRID3
* xyz -1 1
S 0.144 0.619 0.507
O 0.304 -1.754 -1.141
O -0.467 -0.725 1.612
O 1.434 0.118 -1.836
N -1.075 1.379 -0.044
C 0.768 -0.653 -1.249
H -1.479 2.144 0.406
H 0.372 -1.128 1.745
*
```

LUMO: 3.9 eV
relative energy (zero: lowest compared OMol25 entry of this formula, charge and spin): 1.634 eV
E: -19537.2686 eV
E_HOMO: -2.966 eV
Kohn-Sham gap: 6.83 eV

Quick look at the Löwdin charges, all values in e:
1. S 0.777
2. O 0.019
3. O -0.448
4. O 0.006
5. N -0.460
6. C -0.733
7. H -0.099
8. H -0.061

***

Record 4
Formula: CH2NO3S
Source: OMol25
Level of theory: ωB97M-V/def2-TZVPD

Geometry as ORCA input:
```
! wB97M-V def2-TZVPD RIJCOSX def2/J DEFGRID3
* xyz -1 1
S -0.517 -0.340 1.037
O 0.885 0.226 1.057
O -0.445 -1.287 -0.408
O -0.967 -1.379 2.014
N 0.830 1.255 -0.973
C -0.015 0.723 -1.588
H 0.730 1.182 0.011
H -0.502 -0.380 -1.149
*
```

LUMO: 4.2 eV
relative energy (zero: lowest compared OMol25 entry of this formula, charge and spin): 3.429 eV
E: -19535.4728 eV
E_HOMO: -4.031 eV
Kohn-Sham gap: 8.27 eV

Quick look at the Löwdin charges, all values in e:
1. S 0.637
2. O -0.522
3. O -0.453
4. O -0.541
5. N 0.070
6. C -0.033
7. H -0.076
8. H -0.083

***

Record 5
Formula: CH2NO4S
Source: OMol25
Level of theory: ωB97M-V/def2-TZVPD

Geometry as ORCA input:
```
! wB97M-V def2-TZVPD RIJCOSX def2/J DEFGRID3
* xyz -1 1
S 0.621 -0.814 1.294
O -2.201 0.860 -0.138
O 1.136 -2.162 0.947
O -0.558 2.195 -0.631
O 1.699 0.162 1.554
N -1.054 1.114 -0.434
+++
### Back to the text

:eek: If you were NAUGHTY, you could put this on Morpheus :cool: with Weezer's name on it :p :p

{"formula": "C10H13NPYb", "method": "ωB97M-V with the def2-TZVPD basis set", "energy_ev": -52882.1495, "max_force_ev_per_a": 4.243, "gap_ev": [4.13, 4.31], "spin_multiplicity": 2, "lumo_energy_ev": [-1.182, -1.054], "s_squared": 0.75, "species": ["C", "C", "C", "C", "C", "Yb", "P", "H", "H", "H", "H", "H", "H", "H", "H", "C", "C", "C", "N", "C", "C", "H", "H", "H", "H", "H"], "positions_angstrom": [[1.62, -2.93, 0.92], [0.90, -2.93, 2.15], [-0.50, -2.98, 1.83], [-0.62, -3.18, 0.41], [0.68, -3.09, -0.15], [1.39, 1.30, 0.04], [3.69, 0.77, -1.51], [2.68, -2.88, 0.80], [1.32, -2.80, 3.13], [-1.31, -2.88, 2.53], [0.94, -3.18, -1.19], [-1.56, -3.27, -0.12], [3.95, 0.27, -2.85], [4.90, 0.58, -0.72], [3.64, 2.24, -1.66], [-2.85, 3.08, -0.44], [-3.12, 1.78, 0.04], [-2.07, 0.85, 0.14], [-0.76, 1.14, -0.16], [-0.55, 2.40, -0.63], [-1.55, 3.39, -0.77], [-3.63, 3.84, -0.55], [-4.18, 1.53, 0.32], [-2.26, -0.15, 0.54], [0.47, 2.72, -0.95], [-1.22, 4.37, -1.15]], "nbo_charge": [-0.390, -0.357, -0.364, -0.365, -0.381, 0.933, -0.133, 0.184, 0.189, 0.185, 0.185, 0.184, 0.078, 0.072, 0.037, -0.144, -0.229, 0.077, -0.573, -0.089, -0.215, 0.237, 0.248, 0.253, 0.137, 0.241]}

If anyone asks who told you to do it, wazzntme! :rolleyes: :D

i like it

this song just happens to be my favorite weezer song, and i really like what you have done with it.

but it would be cool to hear you go --- say it aint SO U WHOA U WHOA!^!!!!!!!!! up another octave like the other guys were talking about. but other than that i loved it!!


I liked it.

It was pretty mellow. I've never heard Weezer, but this song was pretty good. What did you record it on?;)
Nice version indeed.
Too bad that one of the strong aspects of the original recording, the big contrast between soft and loud is gone here. Not it's just all soft. But I guess that's a deliberate choice and not necesarilly a wrong one.

I listened to the original song like 2 weeks ago (probably best song on the album) and with my cans on I love it how the lead guitar makes my ears bleed. :P
good job but I agree that the heavy part was missed.. That's my favorite part of the tune, but I guess this was cool.. Why would you leave out the best parts?:confused:
very well done. I just saw Weezer a week ago. They are very good live. You do imitate the lead singer, Rivers, voice well. I'm thinking of recording a cover of the undone (sweater song). I love their guitar sounds and vocals. Another awsome song is El Scorcho. Check 'em out.
back in the day, weezer owned me, literally...hah.

What comes next are records of molecules, not part of the piece:
'''
Model P:
Formula: H24O12
Source: the OMol25 dataset
Level of theory: ωB97M-V/def2-TZVPD

## Properties
SMILES: O.O.O.O.O.O.O.O.O.O.O.O
HOMO-LUMO gap: 0.3657 hartree
E_HOMO: -9.9 eV
2S+1: 1

Bonds (Å) are listed after each position.
Cartesian coordinates (Å):
1 O -8.56 -0.37 -18.47  H2 0.961, H3 0.979
2 H -8.16 0.14 -17.76  O1 0.961
3 H -9.17 -1.03 -18.09  O1 0.979
4 O -7.48 2.90 -15.65  H5 1.010, H6 0.963
5 H -7.20 3.83 -15.92  O4 1.010
6 H -8.10 3.04 -14.93  O4 0.963
7 O -4.44 3.19 -19.23  H8 0.936, H9 0.923
8 H -5.34 2.94 -19.22  O7 0.936
9 H -4.07 2.75 -19.95  O7 0.923
10 O -6.19 5.42 -16.44  H11 0.991, H12 0.924
11 H -6.68 6.25 -16.24  O10 0.991
12 H -5.36 5.69 -16.75  O10 0.924
13 O -5.53 0.93 -16.24  H14 0.938, H15 0.958
14 H -4.85 1.58 -16.20  O13 0.938
15 H -5.62 0.35 -15.49  O13 0.958
16 O -6.98 5.73 -19.10  H17 0.960, H18 0.970
17 H -6.87 6.41 -18.44  O16 0.960
18 H -6.88 4.83 -18.75  O16 0.970
19 O -7.80 3.56 -21.49  H20 0.957, H21 0.990
20 H -8.02 3.75 -20.58  O19 0.957
21 H -8.43 4.17 -21.94  O19 0.990
22 O -9.33 2.18 -19.69  H23 0.983, H24 0.939
23 H -9.29 1.53 -18.95  O22 0.983
24 H -9.05 1.69 -20.44  O22 0.939
25 O -7.10 3.19 -18.38  H26 1.001, H27 0.907
26 H -7.81 2.81 -18.96  O25 1.001
27 H -7.18 2.82 -17.56  O25 0.907
28 O -10.11 5.00 -20.33  H29 0.991, H30 0.967
29 H -10.99 5.44 -20.22  O28 0.991
30 H -10.19 4.24 -19.73  O28 0.967
31 O -8.16 0.11 -15.78  H32 0.974, H33 0.950
32 H -7.53 0.84 -15.65  O31 0.974
33 H -8.06 -0.45 -15.02  O31 0.950
34 O -6.31 1.10 -20.41  H35 0.953, H36 0.959
35 H -5.42 1.09 -20.75  O34 0.953
36 H -6.09 0.69 -19.57  O34 0.959

=====

Model Q:
Formula: H24O12
Source: the OMol25 dataset
Level of theory: ωB97M-V/def2-TZVPD

## Properties
SMILES: O.O.O.O.O.O.O.O.O.O.O.O
HOMO-LUMO gap: 0.3803 hartree
E_HOMO: -10.5 eV
2S+1: 1

Bonds (Å) are listed after each position.
Cartesian coordinates (Å):
1 O 1.84 -2.85 -0.07  H2 0.951, H3 0.974
2 H 2.55 -3.45 0.15  O1 0.951
3 H 1.44 -2.55 0.76  O1 0.974
4 O 2.83 -0.30 1.71  H5 0.932, H6 0.914
5 H 1.98 -0.65 1.81  O4 0.932
6 H 2.79 -0.16 0.80  O4 0.914
7 O -3.38 -0.12 -3.05  H8 0.954, H9 0.961
8 H -3.32 -0.25 -2.11  O7 0.954
9 H -3.92 -0.81 -3.46  O7 0.961
10 O -2.91 0.87 -0.41  H11 0.947, H12 0.936
11 H -2.82 1.73 -0.03  O10 0.947
12 H -3.14 0.28 0.29  O10 0.936
13 O -0.30 -0.41 -0.35  H14 0.981, H15 0.995
14 H -0.92 -0.02 -0.99  O13 0.981
15 H 0.20 0.36 0.05  O13 0.995
16 O 1.10 1.74 0.75  H17 0.986, H18 0.971
17 H 0.87 2.26 1.56  O16 0.986
18 H 2.05 1.94 0.67  O16 0.971
19 O -1.38 -2.74 0.54  H20 0.933, H21 0.988
20 H -0.84 -3.19 -0.08  O19 0.933
21 H -1.18 -1.79 0.37  O19 0.988
22 O 0.79 1.48 -2.77  H23 0.966, H24 0.958
23 H 0.62 1.63 -3.71  O22 0.966
24 H 0.28 2.11 -2.27  O22 0.958
25 O -1.35 1.00 2.51  H26 0.961, H27 0.968
26 H -0.61 0.80 3.10  O25 0.961
27 H -1.72 0.14 2.28  O25 0.968
28 O 0.69 -2.13 2.37  H29 0.989, H30 0.936
29 H -0.25 -2.13 2.07  O28 0.989
30 H 0.62 -2.38 3.27  O28 0.936
31 O 0.08 3.34 -1.02  H32 0.982, H33 0.965
'''
End of the records of molecules:

thier blue album and pinkerton still do - that is in my CD player many times a week, and often times I listen to a few weezer songs before starting to mix on my speakers - because i LOVE the sound they get/got.

(however, i hate thier new stuff...with a

decent cover though - but i do have to say i'd rather hear it with distorted guitar, drums, loud vox, etc....i made a cover of it a while ago, maybe i can find it and i'll post it up...if you're
Nice tune!

I liked your guitar sound!
Vocals were good,nice harmony!

What did you use to record the guitars?

Enjoyed it very much!

Best to you,
This is really well done, minus the missing falcetto(sp?) part.

The overall tone and recording is good, but probably could use some mastering to raise the volume and bring out some clarity/harmonics.

Good job.